-- Contents --
~~~
w) VASP calculation (PBE) on a geometry-optimized Li4Os5 structure.

Computed properties:
M_tot, μB/f.u.: 0.00

a b c (Å): 7.805 7.805 5.071
angles (deg): 90.00 90.00 120.00
Element x y z (fractional)
Li (0.738, 0.000, 0.250)
Li (0.738, 0.738, 0.750)
Li (0.262, 0.262, 0.250)
Li (0.262, 0.000, 0.750)
Li (0.000, 0.000, 0.500)
Li (0.000, 0.000, 0.000)
Li (0.000, 0.262, 0.750)
Li (0.000, 0.738, 0.250)
Os (0.000, 0.434, 0.250)
Os (0.333, 0.667, 0.000)
Os (0.667, 0.333, 0.000)
Os (0.333, 0.667, 0.500)
Os (0.566, 0.566, 0.250)
Os (0.434, 0.434, 0.750)
Os (0.434, 0.000, 0.250)
Os (0.566, 0.000, 0.750)
Os (0.667, 0.333, 0.500)
Os (0.000, 0.566, 0.750)

x) VASP calculation (PBE) on a geometry-optimized Li4Os5 structure.

Computed properties:
M_tot, μB/f.u.: 0.17

a b c (Å): 6.845 6.845 6.845
angles (deg): 92.39 92.39 156.45
Element x y z (fractional)
Os (0.330, 0.330, 0.661)
Os (0.330, 0.670, 0.000)
Os (0.670, 0.330, 0.000)
Os (0.000, 0.000, 0.000)
Os (0.670, 0.670, 0.339)
Li (0.000, 0.327, 0.327)
Li (0.000, 0.673, 0.673)
Li (0.673, 0.000, 0.673)
Li (0.327, 0.000, 0.327)

Top of the stability list: x), leading by 175 meV/atom.

w) VASP calculation (PBE) on a geometry-optimized LiOs5 structure.

Computed properties:
M_tot, μB/f.u.: 0.00

a b c (Å): 7.161 7.161 4.341
angles (deg): 90.00 90.00 157.89
Element x y z (fractional)
Os (0.447, 0.553, 0.500)
Os (0.333, 0.667, 0.000)
Os (0.107, 0.893, 0.500)
Os (0.780, 0.220, 0.500)
Os (0.669, 0.331, 0.000)
Li (0.997, 0.003, 0.000)

x) VASP calculation (PBE) on a geometry-optimized LiOs5 structure.

Computed properties:
M_tot, μB/f.u.: 0.00

a b c (Å): 5.144 5.144 6.419
angles (deg): 76.06 76.06 30.93
Element x y z (fractional)
Os (0.618, 0.618, 0.278)
Os (0.671, 0.671, 0.662)
Os (0.336, 0.336, 0.337)
Os (0.269, 0.269, 0.937)
Os (0.946, 0.946, 0.616)
Li (0.994, 0.994, 0.003)

Top of the stability list: w), leading by 17 meV/atom.

w) VASP calculation (PBE) on a geometry-optimized LiOs5 structure.

Computed properties:
M_tot, μB/f.u.: 0.00

a b c (Å): 4.697 4.697 4.346
angles (deg): 90.00 90.00 120.00
Element x y z (fractional)
Os (0.320, 0.320, 0.000)
Os (0.000, 0.680, 0.000)
Os (0.680, 0.000, 0.000)
Os (0.333, 0.667, 0.500)
Os (0.667, 0.333, 0.500)
Li (0.000, 0.000, 0.500)

x) VASP calculation (PBE) on a geometry-optimized LiOs5 structure.

Computed properties:
M_tot, μB/f.u.: 0.00

a b c (Å): 2.783 2.783 10.601
angles (deg): 90.00 90.00 90.00
Element x y z (fractional)
Os (0.000, 0.000, 0.152)
Os (0.500, 0.500, 0.316)
Os (0.000, 0.000, 0.500)
Os (0.000, 0.000, 0.848)
Os (0.500, 0.500, 0.684)
Li (0.500, 0.500, 0.000)

Top of the stability list: w), leading by 101 meV/atom.

w) VASP calculation (PBE) on a geometry-optimized LiPOsS2 structure.

Computed properties:
M_tot, μB/f.u.: 1.20

a b c (Å): 4.849 4.849 4.464
angles (deg): 90.00 90.00 90.00
Site moments in Bohr magnetons follow the coordinates.
Element x y z (fractional)
Os (0.000, 0.000, 0.000)  0.70
S (0.000, 0.500, 0.000)  0.14
S (0.500, 0.000, 0.000)  0.14
P (0.000, 0.000, 0.500)  -0.01
Li (0.500, 0.500, 0.500)  0.00
~~~

-- What to do --
What is needed: reproduce all of the listing further above verbatim.

-- Done --
w) VASP calculation (PBE) on a geometry-optimized Li4Os5 structure.

Computed properties:
M_tot, μB/f.u.: 0.00

a b c (Å): 7.805 7.805 5.071
angles (deg): 90.00 90.00 120.00
Element x y z (fractional)
Li (0.738, 0.000, 0.250)
Li (0.738, 0.738, 0.750)
Li (0.262, 0.262, 0.250)
Li (0.262, 0.000, 0.750)
Li (0.000, 0.000, 0.500)
Li (0.000, 0.000, 0.000)
Li (0.000, 0.262, 0.750)
Li (0.000, 0.738, 0.250)
Os (0.000, 0.434, 0.250)
Os (0.333, 0.667, 0.000)
Os (0.667, 0.333, 0.000)
Os (0.333, 0.667, 0.500)
Os (0.566, 0.566, 0.250)
Os (0.434, 0.434, 0.750)
Os (0.434, 0.000, 0.250)
Os (0.566, 0.000, 0.750)
Os (0.667, 0.333, 0.500)
Os (0.000, 0.566, 0.750)

x) VASP calculation (PBE) on a geometry-optimized Li4Os5 structure.

Computed properties:
M_tot, μB/f.u.: 0.17

a b c (Å): 6.845 6.845 6.845
angles (deg): 92.39 92.39 156.45
Element x y z (fractional)
Os (0.330, 0.330, 0.661)
Os (0.330, 0.670, 0.000)
Os (0.670, 0.330, 0.000)
Os (0.000, 0.000, 0.000)
Os (0.670, 0.670, 0.339)
Li (0.000, 0.327, 0.327)
Li (0.000, 0.673, 0.673)
Li (0.673, 0.000, 0.673)
Li (0.327, 0.000, 0.327)

Top of the stability list: x), leading by 175 meV/atom.

w) VASP calculation (PBE) on a geometry-optimized LiOs5 structure.

Computed properties:
M_tot, μB/f.u.: 0.00

a b c (Å): 7.161 7.161 4.341
angles (deg): 90.00 90.00 157.89
Element x y z (fractional)
Os (0.447, 0.553, 0.500)
Os (0.333, 0.667, 0.000)
Os (0.107, 0.893, 0.500)
Os (0.780, 0.220, 0.500)
Os (0.669, 0.331, 0.000)
Li (0.997, 0.003, 0.000)

x) VASP calculation (PBE) on a geometry-optimized LiOs5 structure.

Computed properties:
M_tot, μB/f.u.: 0.00

a b c (Å): 5.144 5.144 6.419
angles (deg): 76.06 76.06 30.93
Element x y z (fractional)
Os (0.618, 0.618, 0.278)
Os (0.671, 0.671, 0.662)
Os (0.336, 0.336, 0.337)
Os (0.269, 0.269, 0.937)
Os (0.946, 0.946, 0.616)
Li (0.994, 0.994, 0.003)

Top of the stability list: w), leading by 17 meV/atom.

w) VASP calculation (PBE) on a geometry-optimized LiOs5 structure.

Computed properties:
M_tot, μB/f.u.: 0.00

a b c (Å): 4.697 4.697 4.346
angles (deg): 90.00 90.00 120.00
Element x y z (fractional)
Os (0.320, 0.320, 0.000)
Os (0.000, 0.680, 0.000)
Os (0.680, 0.000, 0.000)
Os (0.333, 0.667, 0.500)
Os (0.667, 0.333, 0.500)
Li (0.000, 0.000, 0.500)

x) VASP calculation (PBE) on a geometry-optimized LiOs5 structure.

Computed properties:
M_tot, μB/f.u.: 0.00

a b c (Å): 2.783 2.783 10.601
angles (deg): 90.00 90.00 90.00
Element x y z (fractional)
Os (0.000, 0.000, 0.152)
Os (0.500, 0.500, 0.316)
Os (0.000, 0.000, 0.500)
Os (0.000, 0.000, 0.848)
Os (0.500, 0.500, 0.684)
Li (0.500, 0.500, 0.000)

Top of the stability list: w), leading by 101 meV/atom.

w) VASP calculation (PBE) on a geometry-optimized LiPOsS2 structure.

Computed properties:
M_tot, μB/f.u.: 1.20

a b c (Å): 4.849 4.849 4.464
angles (deg): 90.00 90.00 90.00
Site moments in Bohr magnetons follow the coordinates.
Element x y z (fractional)
Os (0.000, 0.000, 0.000)  0.70
S (0.000, 0.500, 0.000)  0.14
S (0.500, 0.000, 0.000)  0.14
P (0.000, 0.000, 0.500)  -0.01
Li (0.500, 0.500, 0.500)  0.00